HOSPITALS are places where we see some of the most vulnerable people in our communities; from newborn babies to people with serious health conditions such as cancer.

North Cumbria Integrated Care NHS Foundation Trust (NCIC) wants to make sure we are doing all we can to support the people who need us the most and one of the ways we can all do that is refraining from smoking on any of our sites.

Smoking (including vaping and e-cigarettes) is not permitted on any of our sites in line with our policy and the law in respect of smoking on work premises.

This is in the best interests of our staff, patients and visitors.

Liz McDonald, who works in the respiratory department at the Cumberland Infirmary, explains how stopping smoking can improve your health and wellbeing.

Here the page breaks off for calculated crystals >
+++
LiMn4P3O12: computed PXRD pattern (copper Kα), based on DFT lattice parameters and positions (GGA+U).
Intensities are scaled so that the largest is 100.

Cell: 12.207 13.239 6.732 Å, 90.00 115.75 90.00°
Space group C2/c (No. 15)
Asymmetric unit:
Li: 0.000 0.001 0.250 [4 per cell]
Mn: 0.000 0.261 0.750 [4 per cell]
Mn: 0.000 0.497 0.250 [4 per cell]
Mn: 0.215 0.154 0.628 [8 per cell]
P: 0.000 0.288 0.250 [4 per cell]
P: 0.224 0.110 0.121 [8 per cell]
O: 0.040 0.223 0.460 [8 per cell]
O: 0.097 0.366 0.246 [8 per cell]
O: 0.137 0.401 0.832 [8 per cell]
O: 0.156 0.163 0.892 [8 per cell]
O: 0.160 0.006 0.100 [8 per cell]
O: 0.220 0.175 0.307 [8 per cell]

Largest 6 diffraction maxima, in order of rising 2θ, 2θ from 10° to 90°:
| index | 2θ/deg | Rel. int. |
| --- | --- | --- |
| 1 1 0 | 10.46 | 29 |
| 0 2 0 | 13.38 | 33 |
| 3 1 0 | 25.21 | 53 |
| 1 1 -2 | 27.74 | 95 |
| 2 4 0 | 31.55 | 100 |
| 4 0 -2 | 33.15 | 30 |


LiMnP2O7: computed PXRD pattern (copper Kα), based on DFT lattice parameters and positions (GGA+U).
Intensities are scaled so that the largest is 100.

Cell: 5.960 6.190 8.122 Å, 96.45 101.31 109.02°
Space group P-1 (No. 2)
Asymmetric unit:
Li: 0.000 0.000 0.000 [1 per cell]
Li: 0.000 0.000 0.500 [1 per cell]
Mn: 0.360 0.686 0.222 [2 per cell]
P: 0.187 0.462 0.789 [2 per cell]
P: 0.424 0.224 0.318 [2 per cell]
O: 0.079 0.682 0.311 [2 per cell]
O: 0.215 0.626 0.949 [2 per cell]
O: 0.271 0.348 0.217 [2 per cell]
O: 0.293 0.611 0.650 [2 per cell]
O: 0.314 0.281 0.814 [2 per cell]
O: 0.371 0.187 0.490 [2 per cell]
O: 0.383 0.002 0.192 [2 per cell]

Largest 6 diffraction maxima, in order of rising 2θ, 2θ from 10° to 90°:
| index | 2θ/deg | Rel. int. |
| --- | --- | --- |
| 0 1 0 | 15.42 | 71 |
| 1 0 0 | 16.24 | 65 |
| 0 1 -1 | 17.34 | 56 |
| 0 0 2 | 22.74 | 100 |
| 0 1 2 | 30.00 | 42 |
| 2 0 -1 | 31.94 | 38 |


Li9Mn2Co5O16: theoretical PXRD pattern (Cu Ka), based on a crystal structure in the Materials Project, relaxed with GGA+U.
No peak broadening, texture or thermal motion is included.

Structure:
```
data_Li9Mn2Co5O16
_cell_length_a 5.172
_cell_length_b 5.785
_cell_length_c 9.709
_cell_angle_alpha 90.00
_cell_angle_beta 98.92
_cell_angle_gamma 90.00
_symmetry_space_group_name_H-M 'P 1 2 1'
_symmetry_Int_Tables_number 3
loop_
_symmetry_equiv_pos_as_xyz
'x,y,z'
'-x,y,-z'
loop_
_atom_site_label
_atom_site_type_symbol
_atom_site_fract_x
_atom_site_fract_y
_atom_site_fract_z
Li1 Li 0.000 0.000 0.000
Li2 Li 0.000 0.242 0.500
Li3 Li 0.000 0.495 0.000
Li4 Li 0.246 0.242 0.255
Li5 Li 0.249 0.746 0.255
Li6 Li 0.500 0.491 0.500
Li7 Li 0.500 0.992 0.500
Mn1 Mn 0.251 0.497 0.747
Co1 Co 0.000 0.744 0.500
Co2 Co 0.246 0.000 0.742
Co3 Co 0.500 0.243 0.000
Co4 Co 0.500 0.751 0.000
O1 O 0.080 0.506 0.371
O2 O 0.098 0.975 0.379
O3 O 0.139 0.259 0.868
O4 O 0.148 0.744 0.867
O5 O 0.372 0.248 0.639
O6 O 0.378 0.731 0.636
O7 O 0.383 0.996 0.117
O8 O 0.405 0.496 0.126
```

Principal peaks in the range 10 to 90 degrees two-theta, in order of rising 2θ:
+++

She said: “Stopping smoking improves your physical health but it is also proven to improve your mental health and wellbeing.  

“Cutting out smoking does improve mood and reduces anxiety.

“Stopping smoking can be as effective as anti-depressants as people with mental health problems are likely to feel much calmer and more positive.

“Studies have shown that quality of life and positive mood improve. Anxiety, depression and stress levels lower.

“Quitting smoking is one of the best things you will ever do for your health. Within 20 minutes your blood pressure and pulse rate return to normal. After nine hours the carbon monoxide level in the blood reduces by half and oxygen level returns to normal.

“Within 72 hours, breathing becomes easier. Bronchial tubes begin to relax and energy level increase.”

Improvements can also been seen after a couple of weeks.

News and Star: Elizabeth McDonaldElizabeth McDonald

If you take antipsychotic medicines or anti-depressants it is important you talk to your GP or Psychiatrist before you stop smoking – the dosage of these medicines may need to be monitored and the amount you need to take may need to be reduced.

Outside of the hospital, people who want help to stop smoking can contact their local pharmacy for support.

Stopping smoking isn't easy, but there are things you can do to improve your chances of success. 

1. Pick a quit date

Choose a day that will be stress-free, and stick to it.

2. Make a list
Write down all the reasons you want to quit. Keep the list handy and read it when the cravings start.

3. Build a support network
Pair up with someone else who’s looking to give up smoking and support each other.

4. Remove any reminders
Before your quit date, get rid of ashtrays, lighters and matches, and any remaining cigarettes.

Attached: materials data:
........
The following is a theoretical powder X-ray diffraction pattern of VCrP2H2O10. It was derived from a DFT-relaxed cell (GGA+U, the Materials Project), using CuKα.

Principal peaks in the range 10 to 90 degrees two-theta, in order of rising 2θ:
- d 4.905, I 51, hkl 1 1 1
- d 4.805, I 100, hkl 1 0 -1
- d 3.498, I 21, hkl 0 1 2
- d 3.410, I 42, hkl 1 2 1
- d 3.387, I 27, hkl -1 1 1
- d 3.334, I 23, hkl 0 1 -2
- d 3.259, I 74, hkl 1 2 -1
- d 3.007, I 53, hkl 2 0 0
- d 2.609, I 31, hkl 0 2 2
- d 2.435, I 29, hkl 1 0 -3

Atomic structure:
Cell: 6.7466 7.3868 8.0005 Å, 86.56 88.52 63.07°
Space group P-1 (No. 2)
Symmetry-distinct sites (fractional):
V 0.2499 0.9997 0.2500 x2
Cr 0.2499 0.4998 0.2500 x2
P 0.2418 0.7190 0.5805 x2
P 0.2583 0.2810 0.9197 x2
H 0.0716 0.8354 0.0876 x2
H 0.4282 0.1638 0.4126 x2
O 0.0517 0.8617 0.6976 x2
O 0.0616 0.4229 0.8119 x2
O 0.1480 0.6150 0.4717 x2
O 0.1851 0.1355 0.0322 x2
O 0.1997 0.7851 0.1654 x2
O 0.3002 0.2137 0.3351 x2
O 0.3149 0.8643 0.4677 x2
O 0.3520 0.3848 0.0286 x2
O 0.4385 0.5772 0.6881 x2
O 0.4483 0.1383 0.8023 x2



The following is a theoretical powder X-ray diffraction pattern of SrCrHO2. It was derived from a DFT-relaxed cell (GGA+U, the Materials Project), using CuKα.

Principal peaks in the range 10 to 90 degrees two-theta, in order of rising 2θ:
- d 2.836, I 36, hkl 1 1 0
- d 2.681, I 100, hkl 1 0 1
- d 2.229, I 14, hkl 1 1 1
- d 2.005, I 32, hkl 2 0 0
- d 1.803, I 11, hkl 0 0 2
- d 1.606, I 40, hkl 2 1 1
- d 1.521, I 11, hkl 1 1 2
- d 1.418, I 9, hkl 2 2 0
- d 1.341, I 15, hkl 2 0 2
- d 1.254, I 8, hkl 3 0 1

Atomic structure:
Cell: 4.0110 4.0110 3.6055 Å, 90.00 90.00 90.00°
Space group P4/mmm (No. 123)
Symmetry-distinct sites (fractional):
Sr 0.0000 0.0000 0.0000 x1
Cr 0.5000 0.5000 0.5000 x1
H 0.5000 0.5000 0.0000 x1
O 0.0000 0.5000 0.5000 x2

=====

Simulated X-ray powder pattern of Mo4Ir for Cu Kα, from a structure optimized by DFT (GGA-PBE).
Lines closer than 0.1° are merged.

```
Mo4Ir
1.0
1.3879 0.8013 11.8267
-1.3879 0.8013 11.8267
0.0000 -1.6026 11.8267
Mo Ir
4 1
Direct
0.1027 0.1027 0.1027
0.2993 0.2993 0.2993
0.7007 0.7007 0.7007
0.8973 0.8973 0.8973
0.5000 0.5000 0.5000
```

Main lines, in order of rising 2θ (15° ≤ 2θ ≤ 90°):
38.0°, intensity 37
39.6°, intensity 100
45.6°, intensity 66
65.4°, intensity 21
67.5°, intensity 20
78.2°, intensity 13
80.2°, intensity 25
81.2°, intensity 12
81.4°, intensity 4
85.2°, intensity 11

=====

Simulated X-ray powder pattern of Mo6IrRu for Cu Kα, from a structure optimized by DFT (GGA-PBE).
Lines closer than 0.1° are merged.
........

5. Use stop smoking services
Contact your local NHS Stop Smoking Service for support from trained specialists.

6. Try nicotine replacement therapy
Consider using nicotine replacement therapy, which can more than double your chances of stopping smoking.

7. Start moving
Scientific studies have proven that exercise, as little as a five minute walk or stretch, cuts the urge to smoke and may even help your brain produce anti-craving chemicals.

8. Avoid trigger situations
Anticipate stressful or trigger situations. So, if you smoke after a meal, go for a short walk instead.

9. Practise saying “no”
Don’t be tempted by just one cigarette; it often leads to another.

10. Treat yourself
Put away some, or all, of the money you would have spent on cigarettes and buy something special.